Self-Leadership masterclass

Take control of your priorities and development in 2024

Hone your self-leadership in 2024 with a blend of science informed tools and practical methods in this masterclass.

What can you expect in this course?

Are you up for some realistic New Year resolutions and willing to carry them through in 2024?

You make the time – Causable holds the space for you.

These records of crystals were left in the page by mistake:
<<<
<1>
# Ti2FeF, relaxed, DFT GGA+U
# **Mass density**: 5.15 Mg/m³
# **Fermi-level density of states**: 1.04 states/eV per atom
data_Ti2FeF
_cell_length_a 5.815
_cell_length_b 5.815
_cell_length_c 6.502
_cell_angle_alpha 90.00
_cell_angle_beta 90.00
_cell_angle_gamma 90.00
_space_group_name_H-M_alt 'I -4 2 d'
_space_group_IT_number 122
_space_group_name_Hall 'I -4 2bw'
loop_
_atom_site_label
_atom_site_type_symbol
_atom_site_fract_x
_atom_site_fract_y
_atom_site_fract_z
Ti1 Ti 0.216 0.750 0.125
Fe1 Fe 0.000 0.000 0.500
F1 F 0.000 0.000 0.000


<2>
# Ti2FeF, relaxed, DFT GGA+U
# **Mass density**: 5.46 Mg/m³
# **Fermi-level density of states**: 1.55 states/eV per atom
data_Ti2FeF
_cell_length_a 5.921
_cell_length_b 5.921
_cell_length_c 5.921
_cell_angle_alpha 90.00
_cell_angle_beta 90.00
_cell_angle_gamma 90.00
_space_group_name_H-M_alt 'F m -3 m'
_space_group_IT_number 225
_space_group_name_Hall '-F 4 2 3'
loop_
_atom_site_label
_atom_site_type_symbol
_atom_site_fract_x
_atom_site_fract_y
_atom_site_fract_z
Ti1 Ti 0.250 0.250 0.250
Fe1 Fe 0.000 0.000 0.000
F1 F 0.000 0.000 0.500


The winner here is <1>, beating the second structure by 29.3 kJ/mol of atoms.


<1>
# Tl3FeF, relaxed, DFT GGA+U
# **Mass density**: 8.37 Mg/m³
# **Fermi-level density of states**: 1.11 states/eV per atom
data_Tl3FeF
_cell_length_a 5.149
_cell_length_b 5.149
_cell_length_c 5.149
_cell_angle_alpha 90.00
_cell_angle_beta 90.00
_cell_angle_gamma 90.00
_space_group_name_H-M_alt 'P m -3 m'
_space_group_IT_number 221
_space_group_name_Hall '-P 4 2 3'
loop_
_atom_site_label
_atom_site_type_symbol
_atom_site_fract_x
_atom_site_fract_y
_atom_site_fract_z
Tl1 Tl 0.000 0.000 0.500
Fe1 Fe 0.500 0.500 0.500
F1 F 0.000 0.000 0.000


<2>
# Tl3FeF, relaxed, DFT GGA+U
# **Mass density**: 7.55 Mg/m³
# **Fermi-level density of states**: 0.47 states/eV per atom
data_Tl3FeF
_cell_length_a 5.329
_cell_length_b 5.329
_cell_length_c 5.329
_cell_angle_alpha 90.00
_cell_angle_beta 90.00
_cell_angle_gamma 90.00
_space_group_name_H-M_alt 'P m -3 m'
_space_group_IT_number 221
_space_group_name_Hall '-P 4 2 3'
loop_
_atom_site_label
_atom_site_type_symbol
_atom_site_fract_x
_atom_site_fract_y
_atom_site_fract_z
Tl1 Tl 0.000 0.000 0.500
Fe1 Fe 0.000 0.000 0.000
F1 F 0.500 0.500 0.500


The winner here is <2>, beating the second structure by 3.9 kJ/mol of atoms.


<1>
# Tl2FeF, relaxed, DFT GGA+U
# **Mass density**: 9.68 Mg/m³
# **Fermi-level density of states**: 0.51 states/eV per atom
data_Tl2FeF
_cell_length_a 6.923
_cell_length_b 6.923
_cell_length_c 6.923
_cell_angle_alpha 90.00
_cell_angle_beta 90.00
_cell_angle_gamma 90.00
_space_group_name_H-M_alt 'F m -3 m'
_space_group_IT_number 225
_space_group_name_Hall '-F 4 2 3'
loop_
_atom_site_label
_atom_site_type_symbol
_atom_site_fract_x
_atom_site_fract_y
_atom_site_fract_z
Tl1 Tl 0.250 0.250 0.250
Fe1 Fe 0.000 0.000 0.000
F1 F 0.000 0.000 0.500


<2>
# Tl2FeF, relaxed, DFT GGA+U
# **Mass density**: 8.12 Mg/m³
>>>

In our Masterclass this January, you will:

The added benefit: The method you learn to apply is also great to plan your work with your team!

Available Dates:

Wednesday, January 10, 2024 from 13.30 - 16.00 CET, or
Thursday, January 11, 2024 from 15.30 - 18.00 CET

Booster sessions

Boost your follow-through with our check-ins for accountability and in the same go, hone your skills and navigate your development with our deep dives on self-leadership tools as we go through the year.

Besides checking in together each quarter on what progress you made on your projects, we take a deeper dive into supporting topics and practical tools that will help you stay on track.

Four booster sessions throughout the year will help you to stay on track and make the most of your development goals.

About your masterclass

Basic format

We meet online via Zoom.


Masterclasses will have max. 15 participants to enhance your interactive learning experience

Sign up for your masterclass and booster sessions

# What comes next are records of crystals, not part of the entry
+++
! CsAlFe2Mo (PBEsol, optimized geometry); values from VASP
&SYSTEM
  ibrav = 0, nat = 5, ntyp = 4
/
ATOMIC_SPECIES
Mo 95.94 Mo.upf
Cs 132.91 Cs.upf
Fe 55.84 Fe.upf
Al 26.98 Al.upf
ATOMIC_POSITIONS crystal
Mo 0.5000 0.5000 0.5000
Cs 0.0000 0.0000 0.5000
Fe 0.5000 0.0000 0.0000
Fe 0.0000 0.5000 0.0000
Al 0.0000 0.0000 0.0000
CELL_PARAMETERS angstrom
4.5131 0.0000 0.0000
0.0000 4.5131 0.0000
0.0000 0.0000 5.6296
! DOS at the Fermi energy = 5.5 states/eV/cell
! ΔH_f (0 K) = 2.2390 eV/atom
! DFT total energy = -4.707 eV per atom
+++

Choose the date for your masterclass

Booster sessions

Each booster session is offered at two different times. You will be able to pick the time that suits you best.

* Required

* Required

* Required

To help us prepare and tailor our course to you, we’d also like to know your job title and where you work.

Payment information

Once you signed up for your course, we will process your information and send you an invoice. If you need a receipt for your employer or another organization funding your course, please make sure to include their details.

Your booking will only be valid once we have received your payment. We will send you information for the bank transfer to our bank account of Causable GmbH (Tellstrasse 31, 8004 Zurich, Switzerland) at Zürcher Kantonalbank.

You will only be admitted and receive your login credentials to the Masterclass once we have received your transfer. Your payment needs to arrive latest on Friday, January 5, 2024. We will send out our confirmation email and access link upon receiving your payment.

Why can you pay in EUR although we are located in Switzerland? Because we know that the Swiss Franc is a strong currency and fluctuates a lot. We take that upon us to make your life easier.


What if I have a conflicting appointment?
Bookings are binding. You can ask to attend a Masterclass / Booster Session on a different day if you have a scheduling conflict during one of the sessions in a series. Please use this option sparingly, as we want to keep classes small to enhance learning.

Can I access a recording of the class later?
Inputs by Dr. Maier will be recorded and can be accessed afterwards. Interactive individual and group work will not be recorded and we work under Chatham House Rule: Learnings and take aways can not be attributed to specific persons.

Your questions cannot wait?
Get in touch to schedule a short 30 minute introduction call to discuss your challenge and whether an individual sparring partnership might help to resolve your question faster.

Your benefit from Causable

At Causable, we take a look behind the curtain and always show why things work. Dr. Silvia Maier holds a PhD in Neuroeconomics from University of Zurich and knows both the theory behind and the practical paths towards self-control and resilience and what your brain needs in order to support you in both.

Her Self-Leadership masterclasses cut to the chase and bundle what you need in order to promote smart choices that yield the best outcomes long-term, even when you navigate stressful environments.

Dr. Maier has been leading research and product development in science and industry for more than 15 years. As founder of Causable, she is a trusted sparring partner for C-Level leaders and expert contributors alike, as she draws from more than 20 years of experience in leading teams and managing projects in the service and innovation sectors.